-- Activity --
Copy only the lines underneath with the word "e_homo_ha" in them.
-- Material --
No. 1
{
  "formula": "C22H17ClN2O2S",
  "method": "ωB97M-V/def2-TZVPD",
  "e_homo_ha": -0.29683,
  "total_energy_ha": -1966.7725,
  "lumo_energy_ev": -0.941,
  "relative_energy_kcal_mol": 11.3,
  "smiles": "C[C@H]([C@H](Cl)S(=O)(=O)c1ccc(C#N)cc1)n1c2ccccc2c2ccccc21",
  "elements": ["C", "C", "C", "Cl", "S", "O", "O", "C", "C", "C", "C", "C", "N", "C", "C", "N", "C", "C", "C", "C", "C", "C", "C", "C", "C", "C", "C", "C", "H", "H", "H", "H", "H", "H", "H", "H", "H", "H", "H", "H", "H", "H", "H", "H", "H"],
  "xyz": [[1.539, 1.392, 1.975], [1.033, 0.909, 0.641], [-0.766, 0.767, 0.488], [-0.939, -0.777, 1.252], [-2.195, 0.893, -0.750], [-2.182, -0.315, -1.531], [-2.105, 2.187, -1.387], [-3.875, 0.884, 0.106], [-4.479, -0.316, 0.498], [-5.814, -0.316, 0.900], [-6.526, 0.888, 0.930], [-7.929, 0.901, 1.257], [-9.079, 0.921, 1.500], [-5.880, 2.101, 0.676], [-4.546, 2.100, 0.280], [1.955, 0.071, -0.044], [2.659, 0.294, -1.266], [2.782, 1.406, -2.091], [3.667, 1.361, -3.179], [4.396, 0.183, -3.442], [4.323, -0.934, -2.596], [3.495, -0.839, -1.502], [3.329, -1.766, -0.443], [3.909, -3.009, -0.224], [3.657, -3.682, 0.965], [2.769, -3.119, 1.900], [2.153, -1.862, 1.662], [2.420, -1.179, 0.466], [1.052, 2.369, 2.103], [1.223, 0.780, 2.831], [2.655, 1.413, 1.977], [0.509, 1.554, -0.118], [-1.008, 1.575, 1.156], [-3.918, -1.251, 0.453], [-6.317, -1.246, 1.162], [-6.413, 3.044, 0.765], [-4.035, 3.032, 0.047], [2.185, 2.283, -1.865], [3.798, 2.249, -3.819], [5.026, 0.153, -4.321], [4.826, -1.878, -2.811], [4.483, -3.442, -1.027], [4.132, -4.645, 1.173], [2.554, -3.676, 2.842], [1.474, -1.458, 2.412]],
  "forces_ev_per_a": [[-1.11, 0.46, 0.31], [-0.99, 1.37, -4.31], [-0.17, -1.89, 2.18], [-1.42, -1.40, 0.85], [0.02, -0.16, -0.94], [-0.02, 0.30, 0.32], [0.15, -0.31, 0.56], [0.70, 0.13, 0.68], [0.23, -0.06, -0.31], [0.13, 0.09, -0.16], [0.28, 0.11, 0.16], [-2.94, -0.02, 0.64], [3.04, -0.06, -0.61], [0.26, -0.05, -0.13], [0.36, -0.23, -0.35], [-0.28, -1.46, 0.14], [0.79, -0.66, 0.26], [-0.33, 0.13, 0.09], [-0.04, -0.46, 0.33], [-0.10, 0.05, 0.13], [-0.20, 0.90, -0.97], [-0.63, 0.69, -0.36], [-0.76, 0.01, 0.95], [-0.32, 0.00, 0.28], [-0.28, 0.05, 0.09], [-0.14, 0.55, 0.12], [0.08, -0.57, 0.31], [0.18, -0.53, 0.20], [0.71, 0.03, 0.42], [0.03, -0.06, -0.31], [-0.99, 0.30, -0.20], [3.51, 1.71, 0.17], [-0.25, 0.29, 0.60], [-0.18, 0.29, -0.09], [0.17, 0.23, -0.08], [0.03, -0.22, -0.02], [-0.13, -0.17, -0.02], [0.11, 0.10, -0.19], [-0.16, -0.60, 0.37], [0.07, -0.01, -0.01], [0.13, 0.44, 0.04], [0.38, -0.14, 0.12], [-0.26, 0.34, -0.13], [0.16, 0.67, -0.86], [0.19, -0.17, -0.26]]
}

No. 2
{
  "formula": "C4H6N2",
  "method": "ωB97M-V/def2-TZVPD",
  "e_homo_ha": -0.37234,
  "total_energy_ha": -265.3624,
  "lumo_energy_ev": 0.450,
  "relative_energy_kcal_mol": 108.7,
  "elements": ["N", "C", "C", "C", "C", "N", "H", "H", "H", "H", "H", "H"],
  "xyz": [[-2.945, 1.055, 0.780], [-1.827, 0.798, 0.635], [-0.416, 0.475, 0.467], [0.177, -0.908, 0.247], [1.293, -0.093, -0.415], [0.246, 0.910, -0.776], [0.145, 0.738, 1.377], [0.372, -1.562, 1.136], [-0.472, -1.162, -0.935], [1.764, -0.514, -1.292], [2.069, 0.272, 0.281], [-0.406, -0.009, -1.505]],
  "forces_ev_per_a": [[1.03, -0.24, -0.16], [-1.01, -0.02, 0.15], [-0.15, -0.31, 0.48], [-1.09, -1.04, -1.78], [0.17, -0.53, -0.54], [-1.30, -1.48, -1.82], [-0.14, 0.91, -0.31], [-0.50, -0.09, -1.14], [1.41, -0.96, 3.69], [0.32, -0.16, -0.01], [-0.59, 0.15, -0.17], [1.87, 3.77, 1.63]]
}

No. 3
{
  "formula": "C5H6N2",
  "method": "ωB97M-V/def2-TZVPD",
  "e_homo_ha": -0.36052,
  "total_energy_ha": -303.4844,
  "lumo_energy_ev": 1.131,
  "relative_energy_kcal_mol": 95.1,
  "smiles": "C1=N[C@H]1C[C@H]1C=N1",
  "elements": ["C", "N", "C", "C", "C", "C", "N", "H", "H", "H", "H", "H", "H"],
-- Here it is --
  "e_homo_ha": -0.29683,
  "e_homo_ha": -0.37234,
  "e_homo_ha": -0.36052,